[Request]
Start at the top of the material below and repeat each line, ending with the one that has "---".

[Input]
'''
This record from the Materials Project describes an optimized crystal structure of DyGePt. The functional is PBE-GGA.

Properties
- space group = Pnma (62)
- DFT total energy (eV/atom) = -6.23
- energy relative to the elements (meV/atom) = -1131
- crystal system = orthorhombic
- V (A^3/atom) = 19.6

a b c (Å): 4.3736 7.0336 7.6515
angles (deg): 90.00 90.00 90.00
Closest atoms and distances in Å follow each position.
Atoms (fractional coordinates):
Pt1 0.7500 0.2948 0.4150  4 Ge 2.56-2.78
Pt2 0.2500 0.2052 0.9150  4 Ge 2.56-2.78
Pt3 0.2500 0.7052 0.5850  4 Ge 2.56-2.78
Pt4 0.7500 0.7948 0.0850  4 Ge 2.56-2.78
Dy1 0.2500 0.4976 0.2035  6 Pt 3.02-3.26, 6 Ge 3.02-3.23
Dy2 0.7500 0.0024 0.7035  6 Pt 3.02-3.26, 6 Ge 3.02-3.23
Dy3 0.2500 0.9976 0.2965  6 Pt 3.02-3.26, 6 Ge 3.02-3.23
Dy4 0.7500 0.5024 0.7965  6 Pt 3.02-3.26, 6 Ge 3.02-3.23
Ge1 0.7500 0.6894 0.4116  4 Pt 2.56-2.78
Ge2 0.2500 0.3106 0.5884  4 Pt 2.56-2.78
Ge3 0.7500 0.1894 0.0884  4 Pt 2.56-2.78
Ge4 0.2500 0.8106 0.9116  4 Pt 2.56-2.78

=====

First-principles (PBE) data for crystalline RbAg3S2 at its relaxed geometry, as listed in the Materials Project database.

Its energy of formation is -3.25 eV per formula unit. For the total magnetic moment, the calculation gives 0.000 μB per atom.

```
data_RbAg3S2
_chemical_formula_sum 'Rb4 Ag12 S8'
_space_group_name_H-M_alt 'C 1 2/m 1'
_space_group_IT_number 12
_cell_length_a 16.222
_cell_length_b 4.344
_cell_length_c 8.975
_cell_angle_alpha 90.00
_cell_angle_beta 114.74
_cell_angle_gamma 90.00
loop_
_space_group_symop_operation_xyz
'x,y,z'
'-x,-y,-z'
'-x,y,-z'
'x,-y,z'
'x+1/2,y+1/2,z'
'-x+1/2,-y+1/2,-z'
'-x+1/2,y+1/2,-z'
'x+1/2,-y+1/2,z'
loop_
_atom_site_label
_atom_site_fract_x
_atom_site_fract_y
_atom_site_fract_z
Rb1 0.135 0.000 0.045
Ag1 0.057 0.000 0.400
Ag2 0.098 0.500 0.654
Ag3 0.187 0.500 0.417
S1 0.017 0.500 0.225
S2 0.197 0.000 0.697
```

=====

Na3Sm | PBE-GGA | optimized geometry

Unit cell a=4.9850 b=4.9850 c=11.0967 alpha=90.00 beta=90.00 gamma=90.00
Sites, in units of the cell vectors:
Na (0.0000, 0.0000, 0.0000)
Na (0.0000, 0.5000, 0.2500)
Na (0.0000, 0.5000, 0.7500)
Na (0.5000, 0.0000, 0.2500)
Na (0.5000, 0.0000, 0.7500)
Na (0.5000, 0.5000, 0.5000)
Sm (0.0000, 0.0000, 0.5000)
Sm (0.5000, 0.5000, 0.0000)

Summary:
M_tot	0.00	μB per formula unit
E	-1.824	eV per atom
E_form	348	meV per atom

=====

# 1
52
Lattice="8.650 0.000 0.000 0.000 9.841 0.000 -2.673 0.000 7.332" Properties=species:S:1:pos:R:3 comment="SnH4C2NO4F, relaxed, DFT GGA-PBE" spacegroup="No. 14" ef_ev_per_atom=-1.307 pbc="T T T"
Sn -0.257 1.839 3.626
Sn -1.594 3.082 7.292
Sn 7.570 6.759 0.041
Sn 6.234 8.002 3.707
H 1.506 7.253 3.874
H 2.843 7.509 0.207
H 2.667 6.160 1.234
H 1.330 8.602 4.900
H 4.108 6.394 0.309
H 2.771 8.367 3.975
H 2.241 2.443 5.711
H 3.578 2.478 2.044
H 2.399 7.364 5.288
H 3.736 7.398 1.622
H 3.205 1.474 3.357
H 1.869 3.447 7.024
H 4.647 1.239 2.432
H 3.310 3.681 6.098
H 3.134 2.332 7.125
H 4.470 2.589 3.459
C 1.408 0.103 0.895
C 0.071 4.818 4.561
C -0.575 0.158 6.823
C 0.761 4.763 3.157
C 5.215 5.079 4.176
C 6.552 9.683 0.509
C 5.905 5.023 2.771
C 4.569 9.739 6.437
N 3.336 6.840 0.838
N 1.999 7.922 4.504
N 3.977 1.920 2.828
N 2.641 3.001 6.494
O 0.998 1.259 1.338
O -0.339 3.661 5.004
O -0.649 1.294 6.211
O 0.687 3.626 2.545
O -0.046 5.899 5.150
O 1.290 8.863 1.484
O 1.325 5.782 2.712
O -0.012 8.980 6.378
O 5.988 0.861 0.955
O 4.652 4.059 4.621
O 4.686 0.978 5.849
O 6.023 3.943 2.183
O 5.289 6.215 4.787
O 6.626 8.547 1.121
O 6.315 6.180 2.329
O 4.979 8.582 5.995
F 1.686 1.456 4.346
F 3.022 3.464 0.679
F 2.954 6.377 6.653
F 4.291 8.385 2.987

---

# 2
41
Lattice="-4.100 4.100 5.784 4.100 -4.100 5.784 4.100 4.100 -5.784" Properties=species:S:1:pos:R:3 comment="H24PtC8N2F6, relaxed, DFT GGA-PBE" spacegroup="No. 87" ef_ev_per_atom=-0.547 pbc="T T T"
H 3.742 -2.077 3.110
H 3.074 1.175 -1.453
H 2.784 -0.601 1.351
H 6.178 -0.358 2.674
H 5.417 0.601 1.351
H 4.701 -1.317 4.433
H 2.925 -1.026 4.331
H 3.074 1.175 1.453
H 2.023 0.358 2.674
'''

[Solution]
This record from the Materials Project describes an optimized crystal structure of DyGePt. The functional is PBE-GGA.

Properties
- space group = Pnma (62)
- DFT total energy (eV/atom) = -6.23
- energy relative to the elements (meV/atom) = -1131
- crystal system = orthorhombic
- V (A^3/atom) = 19.6

a b c (Å): 4.3736 7.0336 7.6515
angles (deg): 90.00 90.00 90.00
Closest atoms and distances in Å follow each position.
Atoms (fractional coordinates):
Pt1 0.7500 0.2948 0.4150  4 Ge 2.56-2.78
Pt2 0.2500 0.2052 0.9150  4 Ge 2.56-2.78
Pt3 0.2500 0.7052 0.5850  4 Ge 2.56-2.78
Pt4 0.7500 0.7948 0.0850  4 Ge 2.56-2.78
Dy1 0.2500 0.4976 0.2035  6 Pt 3.02-3.26, 6 Ge 3.02-3.23
Dy2 0.7500 0.0024 0.7035  6 Pt 3.02-3.26, 6 Ge 3.02-3.23
Dy3 0.2500 0.9976 0.2965  6 Pt 3.02-3.26, 6 Ge 3.02-3.23
Dy4 0.7500 0.5024 0.7965  6 Pt 3.02-3.26, 6 Ge 3.02-3.23
Ge1 0.7500 0.6894 0.4116  4 Pt 2.56-2.78
Ge2 0.2500 0.3106 0.5884  4 Pt 2.56-2.78
Ge3 0.7500 0.1894 0.0884  4 Pt 2.56-2.78
Ge4 0.2500 0.8106 0.9116  4 Pt 2.56-2.78

=====

First-principles (PBE) data for crystalline RbAg3S2 at its relaxed geometry, as listed in the Materials Project database.

Its energy of formation is -3.25 eV per formula unit. For the total magnetic moment, the calculation gives 0.000 μB per atom.

```
data_RbAg3S2
_chemical_formula_sum 'Rb4 Ag12 S8'
_space_group_name_H-M_alt 'C 1 2/m 1'
_space_group_IT_number 12
_cell_length_a 16.222
_cell_length_b 4.344
_cell_length_c 8.975
_cell_angle_alpha 90.00
_cell_angle_beta 114.74
_cell_angle_gamma 90.00
loop_
_space_group_symop_operation_xyz
'x,y,z'
'-x,-y,-z'
'-x,y,-z'
'x,-y,z'
'x+1/2,y+1/2,z'
'-x+1/2,-y+1/2,-z'
'-x+1/2,y+1/2,-z'
'x+1/2,-y+1/2,z'
loop_
_atom_site_label
_atom_site_fract_x
_atom_site_fract_y
_atom_site_fract_z
Rb1 0.135 0.000 0.045
Ag1 0.057 0.000 0.400
Ag2 0.098 0.500 0.654
Ag3 0.187 0.500 0.417
S1 0.017 0.500 0.225
S2 0.197 0.000 0.697
```

=====

Na3Sm | PBE-GGA | optimized geometry

Unit cell a=4.9850 b=4.9850 c=11.0967 alpha=90.00 beta=90.00 gamma=90.00
Sites, in units of the cell vectors:
Na (0.0000, 0.0000, 0.0000)
Na (0.0000, 0.5000, 0.2500)
Na (0.0000, 0.5000, 0.7500)
Na (0.5000, 0.0000, 0.2500)
Na (0.5000, 0.0000, 0.7500)
Na (0.5000, 0.5000, 0.5000)
Sm (0.0000, 0.0000, 0.5000)
Sm (0.5000, 0.5000, 0.0000)

Summary:
M_tot	0.00	μB per formula unit
E	-1.824	eV per atom
E_form	348	meV per atom

=====

# 1
52
Lattice="8.650 0.000 0.000 0.000 9.841 0.000 -2.673 0.000 7.332" Properties=species:S:1:pos:R:3 comment="SnH4C2NO4F, relaxed, DFT GGA-PBE" spacegroup="No. 14" ef_ev_per_atom=-1.307 pbc="T T T"
Sn -0.257 1.839 3.626
Sn -1.594 3.082 7.292
Sn 7.570 6.759 0.041
Sn 6.234 8.002 3.707
H 1.506 7.253 3.874
H 2.843 7.509 0.207
H 2.667 6.160 1.234
H 1.330 8.602 4.900
H 4.108 6.394 0.309
H 2.771 8.367 3.975
H 2.241 2.443 5.711
H 3.578 2.478 2.044
H 2.399 7.364 5.288
H 3.736 7.398 1.622
H 3.205 1.474 3.357
H 1.869 3.447 7.024
H 4.647 1.239 2.432
H 3.310 3.681 6.098
H 3.134 2.332 7.125
H 4.470 2.589 3.459
C 1.408 0.103 0.895
C 0.071 4.818 4.561
C -0.575 0.158 6.823
C 0.761 4.763 3.157
C 5.215 5.079 4.176
C 6.552 9.683 0.509
C 5.905 5.023 2.771
C 4.569 9.739 6.437
N 3.336 6.840 0.838
N 1.999 7.922 4.504
N 3.977 1.920 2.828
N 2.641 3.001 6.494
O 0.998 1.259 1.338
O -0.339 3.661 5.004
O -0.649 1.294 6.211
O 0.687 3.626 2.545
O -0.046 5.899 5.150
O 1.290 8.863 1.484
O 1.325 5.782 2.712
O -0.012 8.980 6.378
O 5.988 0.861 0.955
O 4.652 4.059 4.621
O 4.686 0.978 5.849
O 6.023 3.943 2.183
O 5.289 6.215 4.787
O 6.626 8.547 1.121
O 6.315 6.180 2.329
O 4.979 8.582 5.995
F 1.686 1.456 4.346
F 3.022 3.464 0.679
F 2.954 6.377 6.653
F 4.291 8.385 2.987

---